**Exercise**
Restate everything below without additions.

**Material**
Below is C33H41IrN11O5SSe as an isolated structure at a distorted geometry, with properties calculated with ωB97M-V/def2-TZVPD.

* E_HOMO (alpha / beta): -0.4755 / -0.4754 hartree
* LUMO energy (alpha / beta): -5.08 / -6.80 eV
* total charge: +2
* <S²>: 0.755
* multiplicity: 2
* ΔE to the lowest compared entry with this formula, charge and spin: 44.7 kcal per mole

Element x y z (Å)
Ir (0.311496, 0.029026, 0.069934)
C (-1.937069, 4.059504, 0.725723)
C (-1.040842, 2.997345, 0.174016)
N (-1.030104, 1.792837, 0.639216)
N (-1.919432, 1.572659, 1.672051)
C (-1.548989, 0.634863, 2.490362)
N (-2.335345, 0.321656, 3.530921)
S (-0.042505, -0.232639, 2.342687)
C (-0.114563, 3.334947, -0.927846)
C (-0.273046, 4.474766, -1.711491)
C (0.612993, 4.688426, -2.753570)
C (1.636442, 3.775481, -2.961145)
C (1.730197, 2.688793, -2.106979)
N (0.870670, 2.466593, -1.117648)
H (-2.167982, 3.855650, 1.765768)
H (-2.886327, 4.068068, 0.183394)
H (-1.481368, 5.042917, 0.634579)
H (-3.279290, 0.676463, 3.542086)
H (-2.114178, -0.473357, 4.103365)
H (-1.079566, 5.168551, -1.523405)
H (0.513305, 5.560149, -3.386441)
H (2.353754, 3.906143, -3.759314)
H (2.533990, 1.967846, -2.224636)
C (-1.750079, 1.285624, -3.388534)
N (-0.507044, 0.950587, -4.063280)
C (-0.452208, 1.260088, -5.489798)
C (0.985517, 1.379826, -5.945614)
C (1.727360, 0.126694, -5.533842)
N (1.579073, -0.089402, -4.096528)
C (2.596597, -0.908037, -3.462615)
C (0.460813, 0.262670, -3.418638)
O (0.319814, -0.037041, -2.208409)
H (-1.896920, 2.367402, -3.394282)
H (-1.721362, 0.932019, -2.362888)
H (-2.592903, 0.820004, -3.904007)
H (-0.989777, 2.196270, -5.645596)
H (-0.972773, 0.482283, -6.058280)
H (1.448191, 2.249614, -5.478478)
H (1.028322, 1.507143, -7.026071)
H (2.792640, 0.214723, -5.747995)
H (1.350081, -0.741419, -6.084958)
H (3.576674, -0.442707, -3.582000)
H (2.632339, -1.899671, -3.921153)
H (2.381837, -1.011677, -2.404898)
C (1.909332, 2.454320, 3.337657)
N (2.656594, 1.208726, 3.414533)
C (3.079639, 0.469276, 2.394300)
Se (2.817847, 0.818607, 0.561541)
N (3.756805, -0.584676, 2.859802)
C (3.761641, -0.550114, 4.250793)
C (4.308657, -1.397615, 5.205247)
C (4.099104, -1.048726, 6.523973)
C (3.376887, 0.101639, 6.879909)
C (2.847975, 0.950929, 5.929256)
C (3.057914, 0.596503, 4.602164)
H (1.612871, 2.630039, 2.305826)
H (2.532724, 3.276635, 3.685990)
H (1.018015, 2.372603, 3.956092)
H (4.187615, -1.269111, 2.254535)
H (4.874592, -2.277469, 4.933014)
H (4.506614, -1.674427, 7.305499)
H (3.235812, 0.328251, 7.927359)
H (2.307758, 1.845251, 6.206326)
O (-6.955230, -3.437055, 2.631980)
C (-6.973245, -2.575457, 1.529204)
N (-5.751273, -2.660664, 0.742662)
C (-4.774230, -1.735563, 0.826397)
O (-4.834256, -0.747110, 1.538391)
C (-3.546868, -1.958865, -0.028415)
C (-3.361875, -2.959832, -0.963231)
C (-2.150935, -3.021392, -1.637092)
C (-1.169984, -2.099691, -1.355016)
N (-1.351138, -1.109431, -0.460434)
C (-2.519083, -1.051023, 0.176544)
H (-6.459929, -3.030829, 3.350719)
H (-7.097095, -1.532170, 1.812546)
H (-7.803808, -2.890659, 0.902045)
H (-5.582660, -3.528930, 0.264153)
H (-4.129325, -3.689011, -1.187026)
H (-1.962204, -3.788462, -2.374293)
H (-0.214302, -2.130374, -1.851159)
H (-2.689212, -0.248436, 0.871579)
O (-0.590880, -3.092217, 1.282240)
C (0.515480, -3.060818, 0.825658)
C (1.409832, -4.270217, 0.634419)
C (2.707156, -3.705611, 0.080570)
C (2.469832, -2.216179, 0.093949)
O (3.399564, -1.414158, -0.118015)
N (1.208642, -1.882892, 0.409270)
H (0.910833, -4.974596, -0.029753)
H (1.531913, -4.767191, 1.595987)
H (2.916128, -4.002958, -0.948032)
H (3.591363, -3.950510, 0.666537)

Cartesian forces (eV/Å) of the 6 atoms listed first:
-0.418 -1.574 2.308
-0.023 -0.010 0.024
-0.118 -0.070 0.157
0.701 0.269 -0.806
-0.035 -0.285 0.026
0.222 0.370 0.077


Below is a 7-piece molecular cluster, C33H41N7O11 overall at a distorted geometry, with properties calculated with ωB97M-V/def2-TZVPD.

* E_HOMO: -0.3283 hartree
* LUMO energy: -1.53 eV
* multiplicity: 1

**Reply**
Below is C33H41IrN11O5SSe as an isolated structure at a distorted geometry, with properties calculated with ωB97M-V/def2-TZVPD.

* E_HOMO (alpha / beta): -0.4755 / -0.4754 hartree
* LUMO energy (alpha / beta): -5.08 / -6.80 eV
* total charge: +2
* <S²>: 0.755
* multiplicity: 2
* ΔE to the lowest compared entry with this formula, charge and spin: 44.7 kcal per mole

Element x y z (Å)
Ir (0.311496, 0.029026, 0.069934)
C (-1.937069, 4.059504, 0.725723)
C (-1.040842, 2.997345, 0.174016)
N (-1.030104, 1.792837, 0.639216)
N (-1.919432, 1.572659, 1.672051)
C (-1.548989, 0.634863, 2.490362)
N (-2.335345, 0.321656, 3.530921)
S (-0.042505, -0.232639, 2.342687)
C (-0.114563, 3.334947, -0.927846)
C (-0.273046, 4.474766, -1.711491)
C (0.612993, 4.688426, -2.753570)
C (1.636442, 3.775481, -2.961145)
C (1.730197, 2.688793, -2.106979)
N (0.870670, 2.466593, -1.117648)
H (-2.167982, 3.855650, 1.765768)
H (-2.886327, 4.068068, 0.183394)
H (-1.481368, 5.042917, 0.634579)
H (-3.279290, 0.676463, 3.542086)
H (-2.114178, -0.473357, 4.103365)
H (-1.079566, 5.168551, -1.523405)
H (0.513305, 5.560149, -3.386441)
H (2.353754, 3.906143, -3.759314)
H (2.533990, 1.967846, -2.224636)
C (-1.750079, 1.285624, -3.388534)
N (-0.507044, 0.950587, -4.063280)
C (-0.452208, 1.260088, -5.489798)
C (0.985517, 1.379826, -5.945614)
C (1.727360, 0.126694, -5.533842)
N (1.579073, -0.089402, -4.096528)
C (2.596597, -0.908037, -3.462615)
C (0.460813, 0.262670, -3.418638)
O (0.319814, -0.037041, -2.208409)
H (-1.896920, 2.367402, -3.394282)
H (-1.721362, 0.932019, -2.362888)
H (-2.592903, 0.820004, -3.904007)
H (-0.989777, 2.196270, -5.645596)
H (-0.972773, 0.482283, -6.058280)
H (1.448191, 2.249614, -5.478478)
H (1.028322, 1.507143, -7.026071)
H (2.792640, 0.214723, -5.747995)
H (1.350081, -0.741419, -6.084958)
H (3.576674, -0.442707, -3.582000)
H (2.632339, -1.899671, -3.921153)
H (2.381837, -1.011677, -2.404898)
C (1.909332, 2.454320, 3.337657)
N (2.656594, 1.208726, 3.414533)
C (3.079639, 0.469276, 2.394300)
Se (2.817847, 0.818607, 0.561541)
N (3.756805, -0.584676, 2.859802)
C (3.761641, -0.550114, 4.250793)
C (4.308657, -1.397615, 5.205247)
C (4.099104, -1.048726, 6.523973)
C (3.376887, 0.101639, 6.879909)
C (2.847975, 0.950929, 5.929256)
C (3.057914, 0.596503, 4.602164)
H (1.612871, 2.630039, 2.305826)
H (2.532724, 3.276635, 3.685990)
H (1.018015, 2.372603, 3.956092)
H (4.187615, -1.269111, 2.254535)
H (4.874592, -2.277469, 4.933014)
H (4.506614, -1.674427, 7.305499)
H (3.235812, 0.328251, 7.927359)
H (2.307758, 1.845251, 6.206326)
O (-6.955230, -3.437055, 2.631980)
C (-6.973245, -2.575457, 1.529204)
N (-5.751273, -2.660664, 0.742662)
C (-4.774230, -1.735563, 0.826397)
O (-4.834256, -0.747110, 1.538391)
C (-3.546868, -1.958865, -0.028415)
C (-3.361875, -2.959832, -0.963231)
C (-2.150935, -3.021392, -1.637092)
C (-1.169984, -2.099691, -1.355016)
N (-1.351138, -1.109431, -0.460434)
C (-2.519083, -1.051023, 0.176544)
H (-6.459929, -3.030829, 3.350719)
H (-7.097095, -1.532170, 1.812546)
H (-7.803808, -2.890659, 0.902045)
H (-5.582660, -3.528930, 0.264153)
H (-4.129325, -3.689011, -1.187026)
H (-1.962204, -3.788462, -2.374293)
H (-0.214302, -2.130374, -1.851159)
H (-2.689212, -0.248436, 0.871579)
O (-0.590880, -3.092217, 1.282240)
C (0.515480, -3.060818, 0.825658)
C (1.409832, -4.270217, 0.634419)
C (2.707156, -3.705611, 0.080570)
C (2.469832, -2.216179, 0.093949)
O (3.399564, -1.414158, -0.118015)
N (1.208642, -1.882892, 0.409270)
H (0.910833, -4.974596, -0.029753)
H (1.531913, -4.767191, 1.595987)
H (2.916128, -4.002958, -0.948032)
H (3.591363, -3.950510, 0.666537)

Cartesian forces (eV/Å) of the 6 atoms listed first:
-0.418 -1.574 2.308
-0.023 -0.010 0.024
-0.118 -0.070 0.157
0.701 0.269 -0.806
-0.035 -0.285 0.026
0.222 0.370 0.077


Below is a 7-piece molecular cluster, C33H41N7O11 overall at a distorted geometry, with properties calculated with ωB97M-V/def2-TZVPD.

* E_HOMO: -0.3283 hartree
* LUMO energy: -1.53 eV
* multiplicity: 1